It has been determined by multiple doctors that YOSHIKI of X JAPAN will undergo an emergency cervical artificial disc replacement surgery on Tuesday, May 16 in Los Angeles.
As a result of YOSHIKI’s intense drumming style and the impact it has had on his physical health, he was diagnosed with cervical foraminal stenosis in July 2009, and then underwent a cervical laminectomy and a cervical foraminotomy. After suffering from a herniated disc that has worsened over the past six months, YOSHIKI has experienced symptoms including numbness and severe paralysis of the left hand and arm, which have since been affecting his musical performances. Upon receiving a complete examination by his doctors in both Japan and the U.S., YOSHIKI was diagnosed with cervical foraminal stenosis (radiculopathy of the left arm and herniation of intervertebral disc C5-C6). After thorough consultation, YOSHIKI has no choice but to undergo surgery at this time.
YOSHIKI has been informed by a neurosurgeon in Japan that his neck has experienced severe damage that would force a professional rugby player to retire. It has been medically determined that he is approaching his limit, both physically and mentally. The intensive schedule has taken its toll on his already damaged nervous system. With performances at Visual Japan Summit Festival, Yoshiki Classical Special in Japan, Hong Kong, Carnegie Hall in New York and Wembley Arena in London, he has continued to play around the world with X JAPAN and solo. In addition to adopting an intensive travel schedule to over 20 film festivals globally to promote the documentary WE ARE X, contributed to his health condition.
日本の医師からは、今のYOSHIKIの首の状態は、まるで引退を余儀なくされたラグビー選手のような強烈なダメージの受け方であり、肉体的にも精神的にも限界がきているのではないかと告げられました。尋常ではないスケジュールをこなしていたため、神経系統の機能も含め、さらに症状が悪化したと思われます。去年のVisual Japan Summitでのパフォーマンスや日本・香港のYoshiki Classical Specialツアー、今年の米カーネギーホール公演、そして 英ウェンブリーアリーナ公演など立て続けにパフォーマンスが続いていました。さらに他のメンバーの体調も考慮しながら一人でX JAPAN及び映画”We Are X”のプロモーション活動を行い、20以上にも及んだ各国映画祭への参加なども現在の病状に影響を及ぼしたようです 。
“I had the pleasure of seeing Yoshiki, who has a C5-6 disc herniation with left arm radiculopathy. He has been recommended to have a cervical artificial disc replacement.” explains Neel Anand, M.D., YOSHIKI’s Orthopedic Spine surgeon in the U.S.
Dr. Tommy Tomizawa, M.D., adds “It was decided upon consultation that he will undergo emergency surgery as the condition of his neck at present will interfere not only with his career as an artist, but also with everyday life. From viewing the results of the MRI and CT scans, the damage is so severe that it is apparent that he has experienced considerable pain while performing. As this would be his second such procedure, we eliminated the option of a cervical foraminotomy, an operation in which a portion of bone is removed. Yoshiki’s symptoms reappeared at the Visual Japan Summit festival, which was held last October in Japan. By the time he performed in January of this year at New York’s Carnegie Hall, he had already lost the sensation in his left hand. The symptoms worsened this March following the U.K. Wembley performance, but he continued recording. Even in his condition at that state, Yoshiki stated that he wanted to see things through to the end. However, due to the worsening of his symptoms, doctors, determined that if the situation continued he would have gone beyond the point of surgery and recovery.”
「現在の病状を診断したところ、今の首の状態のままではアーティスト生命に支障をきたすばかりか日常生活さえもままならない状況なため、 緊急に手術することを決定しました。MRIとCTスキャンの結果を見る限りでは、ダメージがひどく相当な痛みを伴いながら演奏を続けてきたと想像します。2回目の手術ということで、骨を削る頸椎椎間孔切除という選択肢を外し、今回は人工椎間板置換手術を行います。去年10月に日本で行われたVisual Japan Summitで症状が再発し、今年1月に行われた米カーネギー公演では既に左手の感覚を失っていました。その後3月に行われた英ウェンブリー公演後、症状はさらに悪化しましたがそのままレコーディングを続けていました。本人はこのまま終わりまで続けたいと言っていましたが、症状が深刻化したため、日米のドクターと話し合った結果、このままではアーティストとして再起不能になると判断し手術をする運びとなりました。」トミー・トミザワ, 米YOSHIKI医師
The operation is to be performed on May 16th at a Los Angeles hospital. Unfortunately, the cancellation of all scheduled activity in May could not be avoided. X Japan’s World Tour of Japan We Are X 2017 dates in July, the Yoshiki Premium Dinner Show dates in August and September, as well as yet-to-be-announced dates for the summer world tour that was to start in Los Angeles, are now undergoing rescheduling with his U.S. agency William Morris Endeavor.
手術は5月16日に米ロサンゼルスの病院にて行われる予定 。5月に予定されていたスケジュールは全てキャンセルを余儀なくされますが、7月に予定されている「X JAPAN WORLD TOUR 2017 WE ARE X」、8月から9月にかけて予定されているYOSHIKIプレミアムディナーショー、及びLAを皮切りにスタートする予定であった世界ツアーの予定日なども現在米エージェントのウィリアムモリスと緊急協議中です。
Following YOSHIKI’s operation, a discussion whether to cancel, postpone or move forward as scheduled will be held amongst the agent, promoter and management.
Here the entry breaks off for materials data.
____________
# 1
Diffraction record for HoGePd. The X-ray diffraction stick pattern is simulated, not measured: it uses a structure optimized by DFT (GGA-PBE) and λ = 1.5418 Å (Cu Kα).

Peak list (10 most intense, 15° ≤ 2θ ≤ 90°, in order of rising 2θ)
- 2θ = 23.32°, d 3.815, I = 10
- 2θ = 33.62°, d 2.665, I = 22
- 2θ = 34.85°, d 2.574, I = 100
- 2θ = 40.56°, d 2.224, I = 11
- 2θ = 40.97°, d 2.203, I = 62
- 2θ = 54.86°, d 1.674, I = 21
- 2θ = 66.89°, d 1.399, I = 12
- 2θ = 68.65°, d 1.367, I = 11
- 2θ = 70.70°, d 1.332, I = 16
- 2θ = 74.63°, d 1.272, I = 7

Structural model:
Cell lengths 11.3518, 11.3518, 11.3518 Å; angles 157.63, 45.69, 140.70 degrees
Atoms (fractional coordinates):
Ho: 0.0000 0.0000 0.0000
Ho: 0.2449 0.0779 0.1670
Ho: 0.3327 0.9995 0.3332
Ho: 0.5838 0.0838 0.5000
Ho: 0.6664 0.9995 0.6668
Ho: 0.9109 0.0779 0.8330
Ge: 0.3170 0.3818 0.9351
Ge: 0.4467 0.3818 0.0649
Ge: 0.4609 0.6968 0.7642
Ge: 0.7861 0.3799 0.4063
Ge: 0.9326 0.6968 0.2358
Ge: 0.9736 0.3799 0.5937
Pd: 0.0998 0.3674 0.7324
Pd: 0.1404 0.7127 0.4277
Pd: 0.2850 0.7127 0.5723
Pd: 0.6040 0.7085 0.8955
Pd: 0.6350 0.3674 0.2676
Pd: 0.8130 0.7085 0.1045


# 2
Diffraction record for Ho4Ge8Pd. The X-ray diffraction stick pattern is simulated, not measured: it uses a structure optimized by DFT (GGA-PBE) and λ = 1.5418 Å (Cu Kα).

Peak list (10 most intense, 15° ≤ 2θ ≤ 90°, in order of rising 2θ)
- 2θ = 24.70°, d 3.604, I = 14
- 2θ = 32.51°, d 2.754, I = 13
- 2θ = 34.88°, d 2.572, I = 23
- 2θ = 35.32°, d 2.541, I = 100
- 2θ = 39.72°, d 2.269, I = 16
- 2θ = 44.22°, d 2.048, I = 21
- 2θ = 45.29°, d 2.002, I = 19
- 2θ = 58.41°, d 1.580, I = 11
- 2θ = 65.15°, d 1.432, I = 13
- 2θ = 75.56°, d 1.258, I = 11

Structural model:
Cell lengths 4.0047, 4.0970, 16.5242 Å; angles 90.00, 90.00, 90.00 degrees
Atoms (fractional coordinates):
Ho: 0.0000 0.0000 0.0000
Ho: 0.0000 0.5000 0.4875
Ho: 0.5000 0.0000 0.7914
Ho: 0.5000 0.5000 0.2841
Ge: 0.0000 0.0000 0.3355
Ge: 0.0000 0.0000 0.6199
Ge: 0.0000 0.5000 0.1386
Ge: 0.0000 0.5000 0.8587
Ge: 0.5000 0.0000 0.1459
Ge: 0.5000 0.0000 0.4372
Ge: 0.5000 0.5000 0.6190
Ge: 0.5000 0.5000 0.9562
Pd: 0.0000 0.5000 0.7109


# 3
Diffraction record for Ho4ReGe8. The X-ray diffraction stick pattern is simulated, not measured: it uses a structure optimized by DFT (GGA-PBE) and λ = 1.5418 Å (Cu Kα).

Peak list (10 most intense, 15° ≤ 2θ ≤ 90°, in order of rising 2θ)
- 2θ = 31.04°, d 2.881, I = 16
- 2θ = 33.84°, d 2.649, I = 13
- 2θ = 35.00°, d 2.564, I = 100
- 2θ = 35.29°, d 2.543, I = 26
- 2θ = 40.69°, d 2.217, I = 18
- 2θ = 42.64°, d 2.120, I = 25
- 2θ = 44.73°, d 2.026, I = 22
- 2θ = 58.22°, d 1.585, I = 12
- 2θ = 63.51°, d 1.465, I = 15
- 2θ = 73.10°, d 1.295, I = 14

Structural model:
Cell lengths 4.0523, 4.2408, 15.8924 Å; angles 90.00, 90.00, 90.00 degrees
Atoms (fractional coordinates):
____________
The materials data stop here.
We deeply apologize for the inconvenience this will cause to fans and everyone involved.
Пишет - X JAPAN вчера в 23:21 Сегодня менеджмент #Yoshiki сообщил, что Yoshiki ложится в больницу, 16 мая состоится срочная операция. Из пресс-релиза менеджмента следует, что после долгого совещания с многими врачами, Ёсики будет проведена срочная операция по замене искусственного шейного диска, которая пройдет 16 мая в Лос-Анджелесе.
Как мы все знаем, проблемы со здоровьем начались еще в 2009 году, когда он перенес операцию на шейный отдел позвоночника. В результате загруженного графика, Visual Japan Summit Festival, Yoshiki Classical Special in Japan, Hong-Kong, Carnegie Hall и Wembley Arena он продолжал выступления как с группой так и соло, что нанесло урон как физическому так и психологическому здоровью Ёсики. "Сами симптому появились еще на Visual Japan Summit Festival, но он продолжил выступления - говорит один из Врачей Ёсики - Dr. Tommy Tomizawa, M. D - к выступлению в Карнеги холл он уже утратил чувствительность в левой руке. симптомы ухудшились после выступления на арене Уэмбли, но он продолжил запись. Однако, после ухудшения симптомов, доктора решили, что если ситуация продолжится, то даже хирургическое вмешательство и восстановление будет бесполезно." (с)
Комментарий - Александра Борзенкова к выше представленному посту в группеX JAPAN Все мероприятия, запланированные на май, будут отменены. Кроме того, июльский X JAPAN World Tour 2017, концертные даты «We Are X» в Японии, Yoshiki Premium Dinner Show в августе и сентябре, а также еще не объявленные даты летнего мирового тура, который должен был начаться в Лос-Анджелесе. После операции пройдет собрание агенства, промоутером и менеджмента, на котором пройдет обсуждение стоит ли все это отменить или перенести вперед.
Пресс-служба Yoshiki, барабанщика и пианиста X JAPAN, сообщает, что 16 мая в Лос-Анджелесе музыканту будет проведена срочная операция. Из-за ухудшения состояния шеи было принято решение об операции по замене искусственного шейного диска (первоначальная операция проводилась в 2009 году). Начиная с осени, Yoshiki активно выступал как сольно, так и в составе X JAPAN, принимал участие к кинофестивалях с целью продвижения фильма «WE ARE X». По словам врачей, музыкант все это время, по всей видимости, испытывал невыносимую боль, кроме того, с начала года его левая рука утратила чувствительность. Своевременно проведенная операция даст возможность Yoshiki полностью восстановиться.
Все мероприятия, намеченные на май, отменены. Кроме того, пересматриваются даты выступлений, запланированных в рамках мирового тура X JAPAN (начало которого предполагалось в июле), а также японских концертов коллектива, наряду с датами Yoshiki Premium Dinner Show в августе. Обо всех изменениях в расписании будет сообщено дополнительно.
X JAPAN drummer and pianist YOSHIKI will be undergoing an emergency cervical artificial disc replacement surgery on May 16th in Los Angeles.
All events scheduled for May will be cancelled. In addition, July’s X JAPAN World Tour 2017, "We Are X" concert dates in Japan, the Yoshiki Premium Dinner Show dates in August and September, as well as yet-to-be-announced dates for the summer world tour that was to start in Los Angeles, are now undergoing rescheduling with his US agency William Morris Endeavor.
Following YOSHIKI's operation, a discussion whether to cancel, postpone or move forward as scheduled will be held amongst the agent, promoter and management.
As a result of YOSHIKI’s intense drumming style and its impact on his physical health, he was diagnosed with cervical foraminal stenosis in July 2009, and then underwent a cervical laminectomy and a cervical foraminotomy.
After suffering from a herniated disc that has worsened over the past six months, YOSHIKI has experienced symptoms including numbness and severe paralysis of the left hand and arm, which have since affected his musical performances. Upon receiving a complete examination by his doctors in both Japan and the US, YOSHIKI was diagnosed with cervical foraminal stenosis (radiculopathy of the left arm and herniation of intervertebral disc C5-C6). After thorough consultation, it was decided that YOSHIKI has to undergo surgery at this time.
YOSHIKI has been informed by a neurosurgeon in Japan that his neck has experienced severe damage that would force a professional rugby player to retire. It has been medically determined that he is approaching his limit, both physically and mentally. His intense schedule has taken its toll on his already damaged nervous system. With performances at Visual Japan Summit, Yoshiki Classical Special in Japan, Hong Kong, Carnegie Hall in New York and Wembley Arena in London, he has continued to play around the world with X JAPAN and solo. YOSHIKI's intensive travel schedule to over 20 film festivals globally to promote the documentary "We Are X" also contributed to his health condition.
“I had the pleasure of seeing YOSHIKI, who has a C5-6 disc herniation with left arm radiculopathy. He has been recommended to have a cervical artificial disc replacement,” explains Neel Anand, M.D., YOSHIKI’s Orthopedic Spine surgeon in the US.
Dr. Tommy Tomizawa, M.D., adds, “It was decided upon consultation that he will undergo emergency surgery as the condition of his neck at present will interfere not only with his career as an artist, but also with everyday life. From viewing the results of the MRI and CT scans, the damage is so severe that it is apparent that he has experienced considerable pain while performing. As this would be his second such procedure, we eliminated the option of a cervical foraminotomy, an operation in which a portion of bone is removed. YOSHIKI’s symptoms reappeared at the Visual Japan Summit festival, which was held last October in Japan. By the time he performed in January of this year at New York’s Carnegie Hall, he had already lost the sensation in his left hand. The symptoms worsened this March following the UK Wembley performance, but he continued recording. Even in his condition at that state, YOSHIKI stated that he wanted to see things through to the end. However, due to the worsening of his symptoms, doctors, determined that if the situation continued he would have gone beyond the point of surgery and recovery.”